Diaries Magazine
Melting Moments
Posted on the 12 June 2013 by C. Suresh
There are cities that are termed 'melting pots of culture'. There is this city which seems to have taken that phrase too literally with a special emphasis on the 'melting' part. Delhi seems to be concentrating on melting anyone who has haplessly strayed into its precincts. So, if someone talks of a river of people in Delhi, you cannot be sure whether he is talking only figuratively or whether he actually means that what is now a river was once a crowd of people melted down.
That reminded me of a friend of mine who used to say, "Summers in Delhi are very romantic. Full of melting moments." In all my near eighteen years in Delhi I never found Romance, however. It is, may be, because I was too busy melting all by myself to melt in anyone else's company. Now, though, people melt away the moment I hove to on the horizon. (Maybe they did even then - but, as I said, I was too busy melting to notice)
Inserted here: data records:
┌──
# Mg2Fe3O8
Theoretical XRD peak list, copper Kα. Input: a GGA+U-relaxed structure.

Crystal structure
Cell: 5.8051 5.8051 9.3365 Å, 90.00 90.00 120.00°
Positions (direct):
Mg (0.3333, 0.6667, 0.0000)
Mg (0.3333, 0.6667, 0.3963)
Mg (0.6667, 0.3333, 0.5000)
Mg (0.6667, 0.3333, 0.8963)
Fe (0.1644, 0.3289, 0.7215)
Fe (0.1644, 0.8356, 0.7215)
Fe (0.3289, 0.1644, 0.2215)
Fe (0.6711, 0.8356, 0.7215)
Fe (0.8356, 0.1644, 0.2215)
Fe (0.8356, 0.6711, 0.2215)
O (0.0000, 0.0000, 0.3295)
O (0.0000, 0.0000, 0.8295)
O (0.0372, 0.5186, 0.8388)
O (0.1594, 0.3189, 0.1215)
O (0.1594, 0.8406, 0.1215)
O (0.3189, 0.1594, 0.6215)
O (0.3333, 0.6667, 0.6117)
O (0.4814, 0.5186, 0.8388)
O (0.4814, 0.9628, 0.8388)
O (0.5186, 0.0372, 0.3388)
O (0.5186, 0.4814, 0.3388)
O (0.6667, 0.3333, 0.1117)
O (0.6811, 0.8406, 0.1215)
O (0.8406, 0.1594, 0.6215)
O (0.8406, 0.6811, 0.6215)
O (0.9628, 0.4814, 0.3388)

Top 12 peaks for 2θ from 15° to 90°, by angle:
| d [Å] | two_theta | I_rel | h k l |
| --- | --- | --- | --- |
| 4.668 | 19.0 | 100 | 0 0 2 |
| 4.426 | 20.1 | 34 | 1 0 1 |
| 3.421 | 26.0 | 31 | 1 0 2 |
| 2.646 | 33.9 | 28 | 1 0 3 |
| 2.465 | 36.5 | 38 | 1 1 2 |
| 2.427 | 37.0 | 60 | 2 0 1 |
| 2.213 | 40.8 | 34 | 2 0 2 |
| 1.955 | 46.4 | 44 | 2 0 3 |
| 1.710 | 53.6 | 20 | 2 0 4 |
| 1.622 | 56.8 | 19 | 2 1 3 |
| 1.499 | 61.9 | 41 | 2 0 5 |
| 1.451 | 64.2 | 36 | 2 2 0 |

=====

1.
LaZn4Ag4: computed powder diffraction line list (Cu Kα X-rays), based on a PBE-relaxed structure.
Peak positions follow from Bragg's law for the DFT cell and can differ from measured ones.

Top 12 peaks for 10 to 90 degrees two-theta, sorted by position:
d_spacing, intensity
6.159, 12
3.001, 51
2.754, 50
2.471, 47
2.354, 45
2.149, 100
1.790, 27
1.708, 18
1.383, 18
1.370, 11
1.316, 19
1.307, 13

Structure:
```
LaZn4Ag4
1.0
-4.3552 4.3552 2.3543
4.3552 -4.3552 2.3543
4.3552 4.3552 -2.3543
La Zn Ag
1 4 4
Direct
0.0000 0.0000 0.0000
0.2725 0.3753 0.6477
0.3753 0.7275 0.1028
0.6247 0.2725 0.8972
0.7275 0.6247 0.3523
0.0943 0.6279 0.7222
0.3721 0.0943 0.4663
0.6279 0.9057 0.5337
0.9057 0.3721 0.2778
```

***

2.
LaZnAg2: computed powder diffraction line list (Cu Kα X-rays), based on a PBE-relaxed structure.
Peak positions follow from Bragg's law for the DFT cell and can differ from measured ones.

Top 12 peaks for 10 to 90 degrees two-theta, sorted by position:
d_spacing, intensity
3.381, 7
2.809, 30
2.723, 100
2.303, 26
2.223, 27
2.076, 9
1.946, 16
1.781, 15
1.486, 13
1.464, 14
1.398, 12
1.228, 12

Structure:
```
LaZnAg2
1.0
3.8918 0.0000 0.0000
0.0000 20.2994 0.0000
0.0000 0.0000 4.6067
La Zn Ag
4 4 8
Direct
0.0000 0.1042 0.2500
0.0000 0.8958 0.7500
0.5000 0.3958 0.7500
0.5000 0.6042 0.2500
0.0000 0.3309 0.2500
0.0000 0.6691 0.7500
0.5000 0.1691 0.7500
0.5000 0.8309 0.2500
0.0000 0.2588 0.7500
0.0000 0.4619 0.2500
0.0000 0.5381 0.7500
0.0000 0.7412 0.2500
0.5000 0.0381 0.7500
0.5000 0.2412 0.2500
0.5000 0.7588 0.7500
0.5000 0.9619 0.2500
```

***

3.
└──
End of the data records:
As I sit here contemplating another day of venturing into the cauldron, my only consolation is that my trip to the Himalayas will help re-freeze me into some humanoid shape. As it is, people say that I look like some child had put me together from lumps of snow - a sort of animated Snowman, abominable or otherwise - and this repeated melting and re-freezing is certainly not helping the cause of converting me into every Pretty Young Thing's dream man (Hey! I read fantasy, so you cannot stop me indulging in the wildest of fantasies!)
Once more into the furnace my friends. I have nothing to lose but my moisture, having lost everything else.
That reminded me of a friend of mine who used to say, "Summers in Delhi are very romantic. Full of melting moments." In all my near eighteen years in Delhi I never found Romance, however. It is, may be, because I was too busy melting all by myself to melt in anyone else's company. Now, though, people melt away the moment I hove to on the horizon. (Maybe they did even then - but, as I said, I was too busy melting to notice)
As I sit here contemplating another day of venturing into the cauldron, my only consolation is that my trip to the Himalayas will help re-freeze me into some humanoid shape. As it is, people say that I look like some child had put me together from lumps of snow - a sort of animated Snowman, abominable or otherwise - and this repeated melting and re-freezing is certainly not helping the cause of converting me into every Pretty Young Thing's dream man (Hey! I read fantasy, so you cannot stop me indulging in the wildest of fantasies!)
Once more into the furnace my friends. I have nothing to lose but my moisture, having lost everything else.